Source
~~~
# 1
83
Properties=species:S:1:pos:R:3:forces:R:3 method="wB97M-V/def2-TZVPD" gap_ev=7.18 energy_ev=-80222.2974 homo_energy_ev=-8.66 max_force_ha_per_bohr=0.0268
H -2.1315 1.2977 -3.2349 -0.1 0.0 0.0
P -4.1111 5.0344 0.4931 0.2 0.8 0.5
C -0.1995 3.8706 -0.1900 -0.1 -0.2 -0.1
C -1.7614 0.9800 -2.2562 0.3 -0.1 -0.4
H 1.9501 -1.3667 -5.3716 -0.2 -0.1 0.0
H 0.2844 6.0518 2.7816 -0.9 0.6 0.8
O -4.3280 0.6545 -6.9176 0.0 0.0 0.0
C -0.5962 2.1340 5.2941 -0.1 0.1 0.0
H -1.4663 -3.2954 3.7095 0.0 0.0 0.0
C -0.4751 5.3619 2.4323 -0.3 0.1 -0.4
N 0.2367 -3.9385 4.7521 -0.1 0.0 -0.1
H -4.6273 3.4475 2.2454 0.2 -0.1 -0.1
O 0.9024 4.3312 -0.0136 0.2 0.1 0.2
H 4.4855 -4.8456 -2.6348 0.0 0.0 0.0
H -5.3485 2.9062 0.6793 0.2 -0.1 0.0
N -4.2217 1.8621 -6.9446 0.0 0.0 0.0
C -0.5128 0.1488 -2.5130 -0.5 0.2 -0.2
H 2.4209 -1.2817 2.6530 -0.1 -0.1 0.1
Si 1.8592 0.4586 -3.6875 0.7 0.1 -0.7
H 1.4616 -7.9510 5.2897 0.1 -0.1 0.0
O 0.7276 -2.8513 4.5492 0.1 -0.1 0.2
C 1.4526 -0.8102 2.5148 0.1 0.2 -0.3
H -1.0603 -5.0311 3.5360 0.0 0.0 0.1
H 5.1327 -5.4928 -4.1748 0.1 0.0 0.0
O 0.2289 0.7876 -3.5511 0.3 -0.3 0.5
H 0.7811 -1.0573 3.3263 0.1 -0.2 -0.2
N -0.5876 0.7387 4.7775 0.0 0.0 0.0
C 5.3356 -4.8751 -3.3056 -0.1 0.0 0.1
C 2.2394 -1.2542 -4.3264 0.1 0.1 0.2
H 1.6837 -6.6904 6.5368 0.0 0.0 0.0
N 5.5957 -3.4931 -3.7943 0.0 0.0 0.0
H 3.0509 -7.7502 6.0821 0.0 -0.1 -0.1
C -2.6441 4.1459 -0.1507 0.2 -0.1 -0.1
H -2.5530 0.3563 -1.8368 0.0 0.1 0.2
C -0.3599 2.6283 -0.9654 -0.2 -0.4 -0.1
H -0.8391 -0.8457 -2.8307 0.2 0.0 -0.1
H 1.5546 0.2636 2.4026 0.0 0.0 -0.1
H -0.5758 4.4092 2.9477 1.0 -0.4 -0.7
H -2.6892 2.1095 -5.5465 0.0 -0.1 0.0
N 1.5815 -8.6661 7.2483 0.0 0.0 0.0
O 0.4241 0.0925 4.9561 -0.1 0.3 0.4
H -4.3479 2.2705 -4.8970 0.1 -0.1 0.0
C 2.5169 1.6869 -4.9511 -0.4 0.1 0.4
O 1.0304 -8.2492 8.2447 0.0 0.0 0.0
C 2.8235 0.7211 -2.1008 -0.5 0.5 0.1
O 0.5953 -0.5983 0.3608 0.0 0.0 0.2
C -1.4464 4.5362 0.3354 -1.2 -0.3 0.6
C -1.1298 -4.1904 4.2190 -0.1 0.1 -0.1
O -3.7874 2.8266 -1.7176 0.0 -0.1 0.0
H 0.5536 2.0692 -1.1179 0.1 0.1 -0.1
C -2.7323 3.0507 -1.1566 -0.4 0.1 -0.2
C -1.2404 5.5972 1.3461 0.3 -0.3 0.4
H -1.7674 -4.4303 5.0645 0.0 -0.1 0.0
H 3.3393 2.2515 -4.5098 0.1 -0.1 -0.1
O 1.8410 -9.8300 7.0256 0.0 0.0 0.0
H -1.7157 6.5611 1.1825 0.9 0.3 -0.6
H 0.0590 0.0302 -1.5908 0.1 0.0 -0.2
H -3.6447 3.5837 -5.8886 0.0 0.0 -0.1
C -3.6822 2.5144 -5.7201 0.0 0.2 0.1
O 0.7702 -4.8466 5.3567 0.0 0.0 0.0
H 1.7431 2.4156 -5.2007 0.0 0.0 -0.1
H -1.5557 2.5794 5.0599 0.0 0.0 0.0
H 1.8501 -2.0674 -3.7122 -0.1 0.0 -0.1
O -4.5181 2.5726 -7.8815 0.0 0.0 0.0
C 1.9747 -7.6777 6.2061 0.0 0.2 0.1
H -6.0409 4.2404 1.5781 0.0 0.0 0.0
H -0.4344 2.0824 6.3663 0.1 0.0 0.0
C -5.0980 3.7567 1.3142 -0.5 -0.1 -0.3
H 2.8457 1.1922 -5.8630 0.1 0.1 0.0
N 0.8667 -1.3639 1.2671 0.1 0.0 0.0
O 0.6894 -2.5630 1.2265 0.0 0.0 0.0
O -1.5794 0.3296 4.2108 0.0 0.0 0.0
O 4.8671 -2.6077 -3.3964 0.2 -0.1 0.1
H 3.3304 -1.3466 -4.2856 -0.2 0.1 -0.1
H 6.2323 -5.2118 -2.7948 0.0 0.0 -0.1
H 2.8229 1.7938 -1.8774 0.0 0.0 0.0
H -4.7172 6.1821 -1.1886 -0.3 0.0 -0.1
O 6.5209 -3.3493 -4.5626 0.0 0.0 0.0
C -1.5360 2.2123 -1.4422 0.2 0.1 0.4
H 0.2174 2.6637 4.8075 0.1 0.0 0.1
H 2.3909 0.2212 -1.2337 0.2 -0.2 0.0
O -5.0755 5.3734 -0.8038 0.3 -0.3 0.0
H 3.8680 0.4436 -2.2402 0.0 -0.2 0.0

# 2
23
Properties=species:S:1:pos:R:3:forces:R:3 method="wB97M-V/def2-TZVPD" gap_ev=11.80 energy_ev=-14358.8449 homo_energy_ev=-10.64 e_above_lowest_kj_mol=55.9 max_force_ha_per_bohr=0.0018
C -0.2155 0.4480 0.8592 -0.1 0.0 0.0
C 3.4503 -0.2940 -0.3159 0.0 0.0 0.0
H 3.8656 -0.0788 0.6719 0.0 -0.1 0.0
H -0.6358 0.1433 -1.2353 0.0 0.0 0.0
H -1.9231 -2.0418 -0.2303 0.0 0.0 0.0
H -3.0131 1.2005 -1.0410 0.0 0.0 0.0
H 3.7537 0.5155 -0.9821 0.0 0.0 0.1
H 3.9191 -1.2090 -0.6801 0.0 0.0 0.0
H 1.7373 0.3339 1.7338 0.0 0.0 0.0
H -3.9116 -1.4198 0.9648 0.0 0.0 0.0
C 1.3026 0.5381 0.7499 0.1 0.1 0.0
H 1.5117 -0.2525 -1.2458 0.0 0.0 0.0
C -2.4911 0.6637 -0.2452 0.0 0.0 0.0
H 1.6504 -1.4499 0.0185 0.0 0.0 0.0
H 1.5916 1.5661 0.4983 0.0 0.0 0.0
~~~
Work order
What is needed: type out everything further above with every line break kept.
Response
# 1
83
Properties=species:S:1:pos:R:3:forces:R:3 method="wB97M-V/def2-TZVPD" gap_ev=7.18 energy_ev=-80222.2974 homo_energy_ev=-8.66 max_force_ha_per_bohr=0.0268
H -2.1315 1.2977 -3.2349 -0.1 0.0 0.0
P -4.1111 5.0344 0.4931 0.2 0.8 0.5
C -0.1995 3.8706 -0.1900 -0.1 -0.2 -0.1
C -1.7614 0.9800 -2.2562 0.3 -0.1 -0.4
H 1.9501 -1.3667 -5.3716 -0.2 -0.1 0.0
H 0.2844 6.0518 2.7816 -0.9 0.6 0.8
O -4.3280 0.6545 -6.9176 0.0 0.0 0.0
C -0.5962 2.1340 5.2941 -0.1 0.1 0.0
H -1.4663 -3.2954 3.7095 0.0 0.0 0.0
C -0.4751 5.3619 2.4323 -0.3 0.1 -0.4
N 0.2367 -3.9385 4.7521 -0.1 0.0 -0.1
H -4.6273 3.4475 2.2454 0.2 -0.1 -0.1
O 0.9024 4.3312 -0.0136 0.2 0.1 0.2
H 4.4855 -4.8456 -2.6348 0.0 0.0 0.0
H -5.3485 2.9062 0.6793 0.2 -0.1 0.0
N -4.2217 1.8621 -6.9446 0.0 0.0 0.0
C -0.5128 0.1488 -2.5130 -0.5 0.2 -0.2
H 2.4209 -1.2817 2.6530 -0.1 -0.1 0.1
Si 1.8592 0.4586 -3.6875 0.7 0.1 -0.7
H 1.4616 -7.9510 5.2897 0.1 -0.1 0.0
O 0.7276 -2.8513 4.5492 0.1 -0.1 0.2
C 1.4526 -0.8102 2.5148 0.1 0.2 -0.3
H -1.0603 -5.0311 3.5360 0.0 0.0 0.1
H 5.1327 -5.4928 -4.1748 0.1 0.0 0.0
O 0.2289 0.7876 -3.5511 0.3 -0.3 0.5
H 0.7811 -1.0573 3.3263 0.1 -0.2 -0.2
N -0.5876 0.7387 4.7775 0.0 0.0 0.0
C 5.3356 -4.8751 -3.3056 -0.1 0.0 0.1
C 2.2394 -1.2542 -4.3264 0.1 0.1 0.2
H 1.6837 -6.6904 6.5368 0.0 0.0 0.0
N 5.5957 -3.4931 -3.7943 0.0 0.0 0.0
H 3.0509 -7.7502 6.0821 0.0 -0.1 -0.1
C -2.6441 4.1459 -0.1507 0.2 -0.1 -0.1
H -2.5530 0.3563 -1.8368 0.0 0.1 0.2
C -0.3599 2.6283 -0.9654 -0.2 -0.4 -0.1
H -0.8391 -0.8457 -2.8307 0.2 0.0 -0.1
H 1.5546 0.2636 2.4026 0.0 0.0 -0.1
H -0.5758 4.4092 2.9477 1.0 -0.4 -0.7
H -2.6892 2.1095 -5.5465 0.0 -0.1 0.0
N 1.5815 -8.6661 7.2483 0.0 0.0 0.0
O 0.4241 0.0925 4.9561 -0.1 0.3 0.4
H -4.3479 2.2705 -4.8970 0.1 -0.1 0.0
C 2.5169 1.6869 -4.9511 -0.4 0.1 0.4
O 1.0304 -8.2492 8.2447 0.0 0.0 0.0
C 2.8235 0.7211 -2.1008 -0.5 0.5 0.1
O 0.5953 -0.5983 0.3608 0.0 0.0 0.2
C -1.4464 4.5362 0.3354 -1.2 -0.3 0.6
C -1.1298 -4.1904 4.2190 -0.1 0.1 -0.1
O -3.7874 2.8266 -1.7176 0.0 -0.1 0.0
H 0.5536 2.0692 -1.1179 0.1 0.1 -0.1
C -2.7323 3.0507 -1.1566 -0.4 0.1 -0.2
C -1.2404 5.5972 1.3461 0.3 -0.3 0.4
H -1.7674 -4.4303 5.0645 0.0 -0.1 0.0
H 3.3393 2.2515 -4.5098 0.1 -0.1 -0.1
O 1.8410 -9.8300 7.0256 0.0 0.0 0.0
H -1.7157 6.5611 1.1825 0.9 0.3 -0.6
H 0.0590 0.0302 -1.5908 0.1 0.0 -0.2
H -3.6447 3.5837 -5.8886 0.0 0.0 -0.1
C -3.6822 2.5144 -5.7201 0.0 0.2 0.1
O 0.7702 -4.8466 5.3567 0.0 0.0 0.0
H 1.7431 2.4156 -5.2007 0.0 0.0 -0.1
H -1.5557 2.5794 5.0599 0.0 0.0 0.0
H 1.8501 -2.0674 -3.7122 -0.1 0.0 -0.1
O -4.5181 2.5726 -7.8815 0.0 0.0 0.0
C 1.9747 -7.6777 6.2061 0.0 0.2 0.1
H -6.0409 4.2404 1.5781 0.0 0.0 0.0
H -0.4344 2.0824 6.3663 0.1 0.0 0.0
C -5.0980 3.7567 1.3142 -0.5 -0.1 -0.3
H 2.8457 1.1922 -5.8630 0.1 0.1 0.0
N 0.8667 -1.3639 1.2671 0.1 0.0 0.0
O 0.6894 -2.5630 1.2265 0.0 0.0 0.0
O -1.5794 0.3296 4.2108 0.0 0.0 0.0
O 4.8671 -2.6077 -3.3964 0.2 -0.1 0.1
H 3.3304 -1.3466 -4.2856 -0.2 0.1 -0.1
H 6.2323 -5.2118 -2.7948 0.0 0.0 -0.1
H 2.8229 1.7938 -1.8774 0.0 0.0 0.0
H -4.7172 6.1821 -1.1886 -0.3 0.0 -0.1
O 6.5209 -3.3493 -4.5626 0.0 0.0 0.0
C -1.5360 2.2123 -1.4422 0.2 0.1 0.4
H 0.2174 2.6637 4.8075 0.1 0.0 0.1
H 2.3909 0.2212 -1.2337 0.2 -0.2 0.0
O -5.0755 5.3734 -0.8038 0.3 -0.3 0.0
H 3.8680 0.4436 -2.2402 0.0 -0.2 0.0

# 2
23
Properties=species:S:1:pos:R:3:forces:R:3 method="wB97M-V/def2-TZVPD" gap_ev=11.80 energy_ev=-14358.8449 homo_energy_ev=-10.64 e_above_lowest_kj_mol=55.9 max_force_ha_per_bohr=0.0018
C -0.2155 0.4480 0.8592 -0.1 0.0 0.0
C 3.4503 -0.2940 -0.3159 0.0 0.0 0.0
H 3.8656 -0.0788 0.6719 0.0 -0.1 0.0
H -0.6358 0.1433 -1.2353 0.0 0.0 0.0
H -1.9231 -2.0418 -0.2303 0.0 0.0 0.0
H -3.0131 1.2005 -1.0410 0.0 0.0 0.0
H 3.7537 0.5155 -0.9821 0.0 0.0 0.1
H 3.9191 -1.2090 -0.6801 0.0 0.0 0.0
H 1.7373 0.3339 1.7338 0.0 0.0 0.0
H -3.9116 -1.4198 0.9648 0.0 0.0 0.0
C 1.3026 0.5381 0.7499 0.1 0.1 0.0
H 1.5117 -0.2525 -1.2458 0.0 0.0 0.0
C -2.4911 0.6637 -0.2452 0.0 0.0 0.0
H 1.6504 -1.4499 0.0185 0.0 0.0 0.0
H 1.5916 1.5661 0.4983 0.0 0.0 0.0